(Material)
~~~
Structure and theoretical powder X-ray diffraction pattern of NiAs4Pd (a crystal structure in Alexandria, relaxed with GGA-PBE; Cu Kα (weighted mean of Kα1 and Kα2)).
Lines closer than 0.1° are merged.

Peak list (10 most intense, 10° ≤ 2θ ≤ 80°, most intense first)
33.7°, intensity 100; 51.0°, intensity 87; 37.0°, intensity 83; 30.1°, intensity 54; 43.0°, intensity 27; 58.1°, intensity 21; 58.0°, intensity 20; 55.8°, intensity 15; 72.9°, intensity 14; 51.0°, intensity 14

```
NiAs4Pd
1.0
5.9467 0.0000 0.0000
0.0000 5.9414 0.0000
-0.0152 0.0000 5.9421
Ni As Pd
2 8 2
Cartesian
0.0000 0.0000 0.0000
-0.0076 2.9707 2.9711
0.6503 0.7489 3.7177
0.6579 2.2217 0.7466
2.1879 3.6444 3.6458
2.1955 5.2677 0.6747
3.7360 0.6737 5.2674
3.7436 2.2970 2.2963
5.2735 3.7196 5.1955
5.2812 5.1924 2.2244
2.9657 0.0000 2.9711
2.9734 2.9707 0.0000
```

***

Structure and theoretical powder X-ray diffraction pattern of Sr2Ni3As4Pd (a crystal structure in Alexandria, relaxed with GGA-PBE; Cu Kα (weighted mean of Kα1 and Kα2)).
Lines closer than 0.1° are merged.

Peak list (10 most intense, 10° ≤ 2θ ≤ 80°, most intense first)
34.6°, intensity 100; 41.8°, intensity 70; 34.5°, intensity 52; 71.6°, intensity 29; 47.7°, intensity 27; 55.3°, intensity 26; 60.5°, intensity 23; 51.4°, intensity 17; 68.3°, intensity 15; 65.0°, intensity 14

```
Sr2Ni3As4Pd
1.0
4.3257 0.0000 0.0000
0.0000 4.3257 0.0000
0.0000 0.0000 9.7529
Sr Ni As Pd
2 3 4 1
Cartesian
0.0000 2.1628 2.4174
2.1628 0.0000 7.3355
0.0000 2.1628 8.6394
2.1628 0.0000 1.1135
2.1628 2.1628 4.8764
0.0000 0.0000 0.0000
0.0000 2.1628 6.2187
2.1628 0.0000 3.5342
2.1628 2.1628 0.0000
0.0000 0.0000 4.8764
```

***

Structure and theoretical powder X-ray diffraction pattern of Pm2Ni2As3 (a crystal structure in Alexandria, relaxed with GGA-PBE; Cu Kα (weighted mean of Kα1 and Kα2)).
Lines closer than 0.1° are merged.

Peak list (10 most intense, 10° ≤ 2θ ≤ 80°, most intense first)
34.6°, intensity 100; 34.2°, intensity 72; 30.4°, intensity 41; 43.9°, intensity 36; 72.2°, intensity 22; 38.9°, intensity 20; 51.8°, intensity 20; 38.3°, intensity 18; 44.2°, intensity 18; 64.1°, intensity 17

```
Pm2Ni2As3
1.0
2.0614 -9.7933 0.0000
2.0614 9.7933 0.0000
0.0000 0.0000 6.7679
Pm Ni As
4 4 6
Cartesian
2.0614 9.0871 5.0760
2.0614 6.6968 1.6920
2.0614 -6.6968 5.0760
2.0614 -9.0871 1.6920
2.0614 4.0289 0.3518
2.0614 4.0289 3.0322
2.0614 -4.0289 3.7358
2.0614 -4.0289 6.4161
2.0614 5.4401 5.0760
2.0614 1.6492 3.5462
2.0614 1.6492 6.6058
2.0614 -1.6492 0.1622
2.0614 -1.6492 3.2218
2.0614 -5.4401 1.6920
```

***

Structure and theoretical powder X-ray diffraction pattern of PmNiAs2 (a crystal structure in Alexandria, relaxed with GGA-PBE; Cu Kα (weighted mean of Kα1 and Kα2)).
Lines closer than 0.1° are merged.

Peak list (10 most intense, 10° ≤ 2θ ≤ 80°, most intense first)
36.7°, intensity 100; 32.1°, intensity 56; 45.0°, intensity 43; 22.5°, intensity 23; 56.4°, intensity 23; 77.5°, intensity 22; 48.1°, intensity 16; 65.5°, intensity 14; 66.9°, intensity 12; 37.3°, intensity 12

```
PmNiAs2
1.0
0.0000 9.6314 2.8483
2.8487 0.0000 2.8483
2.8487 9.6314 0.0000
Pm Ni As
2 2 4
Cartesian
2.8487 2.3117 2.8483
2.8487 16.9511 2.8483
1.4244 4.8157 1.4253
4.2731 14.4471 4.2736
2.8487 6.0959 2.8488
4.2684 9.6314 4.2682
2.8487 13.1669 2.8488
1.4291 9.6314 4.2682
```
~~~

(Job)
Your job: find the line earlier on that holds "2.1879 3.6444", then echo that line and all lines after it there.

(Here it is)
2.1879 3.6444 3.6458
2.1955 5.2677 0.6747
3.7360 0.6737 5.2674
3.7436 2.2970 2.2963
5.2735 3.7196 5.1955
5.2812 5.1924 2.2244
2.9657 0.0000 2.9711
2.9734 2.9707 0.0000
```

***

Structure and theoretical powder X-ray diffraction pattern of Sr2Ni3As4Pd (a crystal structure in Alexandria, relaxed with GGA-PBE; Cu Kα (weighted mean of Kα1 and Kα2)).
Lines closer than 0.1° are merged.

Peak list (10 most intense, 10° ≤ 2θ ≤ 80°, most intense first)
34.6°, intensity 100; 41.8°, intensity 70; 34.5°, intensity 52; 71.6°, intensity 29; 47.7°, intensity 27; 55.3°, intensity 26; 60.5°, intensity 23; 51.4°, intensity 17; 68.3°, intensity 15; 65.0°, intensity 14

```
Sr2Ni3As4Pd
1.0
4.3257 0.0000 0.0000
0.0000 4.3257 0.0000
0.0000 0.0000 9.7529
Sr Ni As Pd
2 3 4 1
Cartesian
0.0000 2.1628 2.4174
2.1628 0.0000 7.3355
0.0000 2.1628 8.6394
2.1628 0.0000 1.1135
2.1628 2.1628 4.8764
0.0000 0.0000 0.0000
0.0000 2.1628 6.2187
2.1628 0.0000 3.5342
2.1628 2.1628 0.0000
0.0000 0.0000 4.8764
```

***

Structure and theoretical powder X-ray diffraction pattern of Pm2Ni2As3 (a crystal structure in Alexandria, relaxed with GGA-PBE; Cu Kα (weighted mean of Kα1 and Kα2)).
Lines closer than 0.1° are merged.

Peak list (10 most intense, 10° ≤ 2θ ≤ 80°, most intense first)
34.6°, intensity 100; 34.2°, intensity 72; 30.4°, intensity 41; 43.9°, intensity 36; 72.2°, intensity 22; 38.9°, intensity 20; 51.8°, intensity 20; 38.3°, intensity 18; 44.2°, intensity 18; 64.1°, intensity 17

```
Pm2Ni2As3
1.0
2.0614 -9.7933 0.0000
2.0614 9.7933 0.0000
0.0000 0.0000 6.7679
Pm Ni As
4 4 6
Cartesian
2.0614 9.0871 5.0760
2.0614 6.6968 1.6920
2.0614 -6.6968 5.0760
2.0614 -9.0871 1.6920
2.0614 4.0289 0.3518
2.0614 4.0289 3.0322
2.0614 -4.0289 3.7358
2.0614 -4.0289 6.4161
2.0614 5.4401 5.0760
2.0614 1.6492 3.5462
2.0614 1.6492 6.6058
2.0614 -1.6492 0.1622
2.0614 -1.6492 3.2218
2.0614 -5.4401 1.6920
```

***

Structure and theoretical powder X-ray diffraction pattern of PmNiAs2 (a crystal structure in Alexandria, relaxed with GGA-PBE; Cu Kα (weighted mean of Kα1 and Kα2)).
Lines closer than 0.1° are merged.

Peak list (10 most intense, 10° ≤ 2θ ≤ 80°, most intense first)
36.7°, intensity 100; 32.1°, intensity 56; 45.0°, intensity 43; 22.5°, intensity 23; 56.4°, intensity 23; 77.5°, intensity 22; 48.1°, intensity 16; 65.5°, intensity 14; 66.9°, intensity 12; 37.3°, intensity 12

```
PmNiAs2
1.0
0.0000 9.6314 2.8483
2.8487 0.0000 2.8483
2.8487 9.6314 0.0000
Pm Ni As
2 2 4
Cartesian
2.8487 2.3117 2.8483
2.8487 16.9511 2.8483
1.4244 4.8157 1.4253
4.2731 14.4471 4.2736
2.8487 6.0959 2.8488
4.2684 9.6314 4.2682
2.8487 13.1669 2.8488
1.4291 9.6314 4.2682
```